WEST PLAINS, MO – Ozarks Healthcare is excited to welcome Shannon Marsden, MD, to Ozarks Healthcare Family Care in West Plains. Marsden, a board-certified family medicine physician, will join Dr. Scott Roush, Dr. Jason Spurling, Dr. John Washburn, and family nurse practitioners Jamie Parrott and Lisa Wade at Ozarks Healthcare Family Care.
“We are very excited to grow our group of family medicine providers for our patients with the addition of Dr. Marsden,” Tom Keller, Ozarks Healthcare President and CEO, said. “Family medicine providers play a central role in the healthcare of multiple generations. Dr. Marsden will be a wonderful addition to Ozarks Healthcare’s Medical Group.”
A native of Poplar Bluff, Marsden completed a three-year residency in Family Medicine at CoxHealth Family Medicine in Springfield. She earned a Doctorate of Medicine (MD) from the University of Missouri – Columbia. Marsden also holds a Bachelor of Science in Chemistry and Biology from Arkansas State University – Jonesboro.
Marsden says she enjoys the variety of ages she treats through family medicine. Preventative care is also a major focus for her method of practice.
“I enjoy family medicine because I can see and treat all ages under my full scope of training,” Marsden said. “Mostly, I enjoy it because I can form relationships and community with my patients. My approach to partnering with my patients centers around wanting their health to be the best it can be. I think that the more I am able to do for people in one setting, the more beneficial it is for them.”
“Dr. Marsden shares our concept of the compassionate approach healthcare should include,” Dr. Jason Spurling, physician at Ozarks Healthcare Family Care, said. “We look forward to working with her to grow the accessibility of family medical care in our community and surrounding areas.”
Marsden and her husband, Zach, reside in the area with their children, Hutson, 3, and Harper, 1. Dr. Marsden says she is eager to work with Ozarks Healthcare Family Care to provide routine medical care and the treatment of specific injuries and illnesses in all ages.
# Data records, as found in the file
'''
This record from Alexandria describes an optimized crystal structure of Y3Al3Ag2. The functional is PBE-GGA.

Summary:
* crystal system: orthorhombic
* electronic total energy: -4.963 eV per atom
* space-group type: Cmcm

The structure in POSCAR format:
```
Y3Al3Ag2
1.0
2.2546 -5.4028 0.0000
2.2546 5.4028 0.0000
0.0000 0.0000 14.8606
Y Al Ag
6 6 4
Cartesian
2.2546 4.4671 9.0725
2.2546 4.4671 13.2184
2.2546 1.4990 11.1455
2.2546 -1.4990 3.7152
2.2546 -4.4671 1.6422
2.2546 -4.4671 5.7881
2.2546 1.6376 3.7152
2.2546 1.2047 8.0023
2.2546 1.2047 14.2886
2.2546 -1.2047 0.5720
2.2546 -1.2047 6.8583
2.2546 -1.6376 11.1455
2.2546 3.1716 1.4687
2.2546 3.1716 5.9616
2.2546 -3.1716 8.8990
2.2546 -3.1716 13.3920
```

* * * * *

[1]
The following is a GGA-PBE calculation of a relaxed structure of Sm12GaRu6, from Alexandria via LeMat-Bulk.

space-group type	No. 204
E_form	-0.2145	eV per atom
calculated total energy	-6.284	eV per atom
crystal system	cubic
energy above the lowest structure with this stoichiometry	0.0	meV per atom
calculated density	8.2	g/cm3
magnetization	0.0	μB per cell

Lattice parameters (Å, degrees): 8.657 8.657 8.657 109.47 109.47 109.47
Fractional coordinates of all 19 atoms:
Sm 0.100 0.295 0.805
Sm 0.195 0.491 0.295
Sm 0.195 0.900 0.705
Sm 0.295 0.195 0.491
Sm 0.295 0.805 0.100
Sm 0.491 0.295 0.195
Sm 0.509 0.705 0.805
Sm 0.705 0.195 0.900
Sm 0.705 0.805 0.509
Sm 0.805 0.100 0.295
Sm 0.805 0.509 0.705
Sm 0.900 0.705 0.195
Ga 0.000 0.000 0.000
Ru 0.122 0.500 0.622
Ru 0.378 0.878 0.500
Ru 0.500 0.378 0.878
Ru 0.500 0.622 0.122
Ru 0.622 0.122 0.500
Ru 0.878 0.500 0.378



[2]
The following is a GGA-PBE calculation of a relaxed structure of PuPRu, from Alexandria via LeMat-Bulk.

space-group type	No. 11
E_form	-0.6605	eV per atom
calculated total energy	-10.333	eV per atom
crystal system	monoclinic
calculated density	12.4	g/cm3
magnetization	0.2	μB per cell

Lattice parameters (Å, degrees): 6.562 3.694 12.452 90.00 93.56 90.00
Fractional coordinates of all 18 atoms:
Pu 0.044 0.250 0.129
Pu 0.089 0.250 0.462
Pu 0.430 0.250 0.208
Pu 0.570 0.750 0.792
Pu 0.911 0.750 0.538
Pu 0.956 0.750 0.871
P 0.164 0.750 0.295
P 0.300 0.250 0.897
P 0.324 0.750 0.600
P 0.676 0.250 0.400
P 0.700 0.750 0.103
P 0.836 0.250 0.705
Ru 0.199 0.250 0.710
Ru 0.351 0.750 0.008
Ru 0.459 0.750 0.416
Ru 0.541 0.250 0.584
Ru 0.649 0.250 0.992
Ru 0.801 0.750 0.290



[3]
The following is a GGA-PBE calculation of a relaxed structure of Ho2AsCl, from Alexandria via LeMat-Bulk.

space-group type	No. 160
uncorrected formation energy	-1.3592	eV per atom
calculated total energy	-5.272	eV per atom
crystal system	trigonal
calculated density	7.5	g/cm3
magnetization	0.0	μB per cell

Lattice parameters (Å, degrees): 4.012 4.012 20.897 90.00 90.00 120.00
Fractional coordinates of all 12 atoms:
Ho 0.000 0.000 0.000
Ho 0.000 0.000 0.189
Ho 0.333 0.667 0.667
Ho 0.333 0.667 0.856
Ho 0.667 0.333 0.333
Ho 0.667 0.333 0.522
As 0.000 0.000 0.597
As 0.333 0.667 0.263
As 0.667 0.333 0.930
'''
# Back to the article
“I’m very excited about the vision Ozarks Healthcare Family Care has for the future of the health system in West Plains and the passion that is there for caring for their patients as a whole,” Marsden said. “I am looking forward to working as a team with the other providers to put our patients first and be strong advocates for them while helping advance the health system.”
Marsden is currently accepting new patients. Contact Ozarks Healthcare Family Care at 417-255-8645 to inquire about scheduling an appointment.
Ozarks Healthcare Family Care is located at 1307 Porter Wagoner Blvd. in West Plains and is open from 7 a.m. to 6 p.m. Monday through Thursday, and 7 a.m. to 1:30 p.m. on Friday. Walk-in hours are also available from 5 p.m. to 6 p.m. Monday through Thursday.
What comes next are calculated crystals, not part of the text >
- - -
(1)
# RbBa2MnAl | the Alexandria database | PBE-GGA | relaxed
data_RbBa2MnAl
_cell_length_a 5.8571
_cell_length_b 5.0535
_cell_length_c 5.8571
_cell_angle_alpha 90.00
_cell_angle_beta 90.00
_cell_angle_gamma 90.00
_symmetry_space_group_name_H-M 'P 1'
_symmetry_Int_Tables_number 1
_symmetry_space_group_name_Hall 'P 1'
loop_
_atom_site_label
_atom_site_type_symbol
_atom_site_fract_x
_atom_site_fract_y
_atom_site_fract_z
Ba1 Ba 0.0000 0.0000 0.5000
Ba2 Ba 0.5000 0.0000 0.0000
Mn1 Mn 0.0000 0.0000 0.0000
Rb1 Rb 0.5000 0.5000 0.5000
Al1 Al 0.0000 0.5000 0.0000
# Total energy: -3.113 eV/atom
# SG: No. 123
# Formation energy from the elements: 0.432 eV/atom
# Size of the total moment: 1.78 μB/cell

(2)
# Dy5Hg2Os | the Alexandria database | PBE-GGA | relaxed
data_Dy5Hg2Os
_cell_length_a 4.9129
_cell_length_b 7.0144
_cell_length_c 12.1453
_cell_angle_alpha 90.00
_cell_angle_beta 90.00
_cell_angle_gamma 90.00
_symmetry_space_group_name_H-M 'P 1'
_symmetry_Int_Tables_number 1
_symmetry_space_group_name_Hall 'P 1'
loop_
_atom_site_label
_atom_site_type_symbol
_atom_site_fract_x
_atom_site_fract_y
_atom_site_fract_z
Dy1 Dy 0.0000 0.8615 0.2079
Dy2 Dy 0.0000 0.0000 0.5000
Dy3 Dy 0.0000 0.5000 0.0000
Dy4 Dy 0.0000 0.3615 0.2921
Hg1 Hg 0.5000 0.5890 0.1597
Dy5 Dy 0.0000 0.1385 0.7921
Dy6 Dy 0.5000 0.3272 0.5861
Hg2 Hg 0.5000 0.4110 0.8403
Dy7 Dy 0.5000 0.1728 0.0861
Dy8 Dy 0.5000 0.6728 0.4139
Os1 Os 0.0000 0.5000 0.5000
Dy9 Dy 0.5000 0.8272 0.9139
Hg3 Hg 0.5000 0.9110 0.6597
Os2 Os 0.0000 0.0000 0.0000
Hg4 Hg 0.5000 0.0890 0.3403
Dy10 Dy 0.0000 0.6385 0.7079
# Total energy: -4.717 eV/atom
# SG: No. 55
# Formation energy from the elements: -0.362 eV/atom
# Size of the total moment: 0.00 μB/cell

(3)
# ErTl3Ge2Te6 | the Alexandria database | PBE-GGA | relaxed
data_ErTl3Ge2Te6
_cell_length_a 7.6388
_cell_length_b 7.6388
_cell_length_c 8.0148
_cell_angle_alpha 99.12
_cell_angle_beta 99.12
_cell_angle_gamma 119.79
_symmetry_space_group_name_H-M 'P 1'
_symmetry_Int_Tables_number 1
_symmetry_space_group_name_Hall 'P 1'
loop_
_atom_site_label
_atom_site_type_symbol
_atom_site_fract_x
_atom_site_fract_y
_atom_site_fract_z
Er1 Er 0.0000 0.0000 0.0000
Ge1 Ge 0.6670 0.3330 0.0000
Te1 Te 0.0701 0.4087 0.2122
Tl1 Tl 0.8361 0.1639 0.5000
Te2 Te 0.2671 0.2671 0.7874
Te3 Te 0.9299 0.5913 0.7878
Tl2 Tl 0.1639 0.8361 0.5000
Te4 Te 0.7329 0.7329 0.2126
Ge2 Ge 0.3330 0.6670 0.0000
Te5 Te 0.4087 0.0701 0.2122
Tl3 Tl 0.5000 0.5000 0.5000
Te6 Te 0.5913 0.9299 0.7878
# Formation energy from raw total energies: -0.400 eV/atom
# Total energy: -3.712 eV/atom
# SG: No. 12
# Size of the total moment: 0.00 μB/cell

(4)
# YBe2Br | the Alexandria database | PBE-GGA | relaxed
data_YBe2Br
_cell_length_a 5.7308
_cell_length_b 5.7308
_cell_length_c 5.7308
_cell_angle_alpha 140.44
_cell_angle_beta 140.44
_cell_angle_gamma 57.19
_symmetry_space_group_name_H-M 'P 1'
_symmetry_Int_Tables_number 1
_symmetry_space_group_name_Hall 'P 1'
loop_
_atom_site_label
_atom_site_type_symbol
_atom_site_fract_x
- - -
Back to the text >
To learn more about Ozarks Healthcare’s family medicine services, visit https://www.ozarkshealthcare.com/services/family-medicine/.